**Assignment**
Write out all of the notes further below word for word.

**Source**
(1)
This record from Alexandria via LeMat-Bulk describes a geometry-optimized TlAgB2 structure. The functional is GGA-PBE.

Calculated values
* space-group type: Fm-3m, No. 225
* excess energy over the best structure of this formula in the dataset: 0.570 eV per atom
* DFT formation energy: 1678 meV/atom
* uncorrected energy: -11.86 eV/cell

Cell and atoms, written as POSCAR:
```
TlAgB2
1.0
0.000 3.134 3.134
3.134 0.000 3.134
3.134 3.134 0.000
Tl B Ag
1 2 1
Cartesian
3.134 3.134 3.134 Tl
1.567 1.567 1.567 B
4.701 4.701 4.701 B
0.000 0.000 0.000 Ag
```


(2)
This record from Alexandria via LeMat-Bulk describes a geometry-optimized HoH3Pd3 structure. The functional is GGA-PBE.

Calculated values
* space-group type: Pm-3n, No. 223
* excess energy over the best structure of this formula in the dataset: 0.000 eV per atom
* uncorrected energy: -67.73 eV/cell

Cell and atoms, written as POSCAR:
```
HoH3Pd3
1.0
5.449 0.000 0.000
0.000 5.449 0.000
0.000 0.000 5.449
Pd Ho H
6 2 6
Cartesian
4.087 2.725 0.000 Pd
0.000 4.087 2.725 Pd
2.725 0.000 4.087 Pd
0.000 1.362 2.725 Pd
2.725 0.000 1.362 Pd
1.362 2.725 0.000 Pd
0.000 0.000 0.000 Ho
2.725 2.725 2.725 Ho
0.000 2.725 4.087 H
2.725 1.362 0.000 H
0.000 2.725 1.362 H
2.725 4.087 0.000 H
4.087 0.000 2.725 H
1.362 0.000 2.725 H
```


(3)
This record from Alexandria via LeMat-Bulk describes a geometry-optimized Na2LiBiCl6 structure. The functional is GGA-PBE.

Calculated values
* space-group type: Fm-3m, No. 225
* excess energy over the best structure of this formula in the dataset: 0.136 eV per atom
* raw formation energy: -1.3396 eV per atom
* uncorrected energy: -32.91 eV/cell

Cell and atoms, written as POSCAR:
```
Na2LiBiCl6
1.0
7.352 -0.464 0.452
3.896 5.660 2.694
3.263 -0.573 6.595
Cl Na Bi Li
6 2 1 1
Cartesian
7.302 0.968 2.732 Cl
5.323 0.915 5.705 Cl
5.629 3.932 3.817 Cl
7.209 3.655 7.009 Cl
8.881 0.691 5.924 Cl
9.188 3.708 4.036 Cl
10.883 3.467 7.306 Na
3.628 1.156 2.435 Na
0.000 0.000 0.000 Bi
7.255 2.312 4.870 Li
```


(4)
This record from Alexandria via LeMat-Bulk describes a geometry-optimized La3Sm5As8 structure. The functional is GGA-PBE.

Calculated values
* space-group type: R-3m, No. 166
* DFT formation energy: -1540 meV/atom
* uncorrected energy: -100.22 eV/cell

Cell and atoms, written as POSCAR:
```
La3Sm5As8
1.0
7.420 0.000 4.250
2.493 6.989 4.250
0.028 0.020 8.553
Sm As La
5 8 3
Cartesian
0.000 0.000 0.000 Sm
1.246 3.494 2.125 Sm
4.956 3.494 4.250 Sm
4.970 3.504 8.527 Sm
3.710 0.000 2.125 Sm
3.733 5.222 10.686 As
6.207 1.787 6.367 As
7.441 5.246 8.471 As
2.499 1.762 8.582 As
6.172 1.762 10.686 As
3.768 5.246 6.367 As
7.430 5.238 12.834 As
2.511 1.770 4.219 As
0.014 0.010 4.277 La
3.724 0.010 6.402 La
1.260 3.504 6.402 La
```

* * * * *

(1)
Density functional theory data (PBE) for a geometry-optimized Tb6Ir2Pb structure. Values from VASP.

```
&SYSTEM
  ibrav = 0, nat = 18, ntyp = 3
/
ATOMIC_SPECIES
Tb 158.93 Tb.upf
Ir 192.22 Ir.upf
Pb 207.20 Pb.upf
ATOMIC_POSITIONS angstrom
Tb -1.173 -6.255 0.867
Tb -2.090 -1.058 2.259
Tb 2.683 -5.831 -0.232
Tb -5.945 -1.482 3.358
Tb -3.786 -4.200 2.491
Tb 0.523 -3.113 0.635
Tb 0.366 -8.047 -1.820
Tb -3.629 0.734 4.947
Tb -0.346 -3.897 3.870
Tb -2.916 -3.416 -0.743
Tb -3.017 -6.590 -2.323
Tb -0.245 -0.722 5.450
Ir 1.311 -5.591 2.443
Ir -4.573 -1.722 0.683
Ir 1.886 -2.814 5.533
Ir 0.957 -1.428 2.807
Pb -0.150 -4.693 -2.336
Pb 0.000 0.000 0.000
CELL_PARAMETERS angstrom
-2.963 2.074 7.798
-6.106 -3.071 -5.214
5.806 -6.316 0.542
```

Computed properties:
The space group is Immm. The calculation puts the density of states at the Fermi level at 0.86 states/eV per atom. The electronic total energy is -109.301 eV/cell. As for the size of the total moment: 0.000 Bohr magnetons per cell. The calculation puts the formation enthalpy at 0 K at -0.60 eV per atom. As for the theoretical density: 10.55 g cm⁻³.

---

(2)
Density functional theory data (PBE) for a geometry-optimized Tb3IrPb structure. Values from VASP.

```
&SYSTEM

**Reply**
(1)
This record from Alexandria via LeMat-Bulk describes a geometry-optimized TlAgB2 structure. The functional is GGA-PBE.

Calculated values
* space-group type: Fm-3m, No. 225
* excess energy over the best structure of this formula in the dataset: 0.570 eV per atom
* DFT formation energy: 1678 meV/atom
* uncorrected energy: -11.86 eV/cell

Cell and atoms, written as POSCAR:
```
TlAgB2
1.0
0.000 3.134 3.134
3.134 0.000 3.134
3.134 3.134 0.000
Tl B Ag
1 2 1
Cartesian
3.134 3.134 3.134 Tl
1.567 1.567 1.567 B
4.701 4.701 4.701 B
0.000 0.000 0.000 Ag
```


(2)
This record from Alexandria via LeMat-Bulk describes a geometry-optimized HoH3Pd3 structure. The functional is GGA-PBE.

Calculated values
* space-group type: Pm-3n, No. 223
* excess energy over the best structure of this formula in the dataset: 0.000 eV per atom
* uncorrected energy: -67.73 eV/cell

Cell and atoms, written as POSCAR:
```
HoH3Pd3
1.0
5.449 0.000 0.000
0.000 5.449 0.000
0.000 0.000 5.449
Pd Ho H
6 2 6
Cartesian
4.087 2.725 0.000 Pd
0.000 4.087 2.725 Pd
2.725 0.000 4.087 Pd
0.000 1.362 2.725 Pd
2.725 0.000 1.362 Pd
1.362 2.725 0.000 Pd
0.000 0.000 0.000 Ho
2.725 2.725 2.725 Ho
0.000 2.725 4.087 H
2.725 1.362 0.000 H
0.000 2.725 1.362 H
2.725 4.087 0.000 H
4.087 0.000 2.725 H
1.362 0.000 2.725 H
```


(3)
This record from Alexandria via LeMat-Bulk describes a geometry-optimized Na2LiBiCl6 structure. The functional is GGA-PBE.

Calculated values
* space-group type: Fm-3m, No. 225
* excess energy over the best structure of this formula in the dataset: 0.136 eV per atom
* raw formation energy: -1.3396 eV per atom
* uncorrected energy: -32.91 eV/cell

Cell and atoms, written as POSCAR:
```
Na2LiBiCl6
1.0
7.352 -0.464 0.452
3.896 5.660 2.694
3.263 -0.573 6.595
Cl Na Bi Li
6 2 1 1
Cartesian
7.302 0.968 2.732 Cl
5.323 0.915 5.705 Cl
5.629 3.932 3.817 Cl
7.209 3.655 7.009 Cl
8.881 0.691 5.924 Cl
9.188 3.708 4.036 Cl
10.883 3.467 7.306 Na
3.628 1.156 2.435 Na
0.000 0.000 0.000 Bi
7.255 2.312 4.870 Li
```


(4)
This record from Alexandria via LeMat-Bulk describes a geometry-optimized La3Sm5As8 structure. The functional is GGA-PBE.

Calculated values
* space-group type: R-3m, No. 166
* DFT formation energy: -1540 meV/atom
* uncorrected energy: -100.22 eV/cell

Cell and atoms, written as POSCAR:
```
La3Sm5As8
1.0
7.420 0.000 4.250
2.493 6.989 4.250
0.028 0.020 8.553
Sm As La
5 8 3
Cartesian
0.000 0.000 0.000 Sm
1.246 3.494 2.125 Sm
4.956 3.494 4.250 Sm
4.970 3.504 8.527 Sm
3.710 0.000 2.125 Sm
3.733 5.222 10.686 As
6.207 1.787 6.367 As
7.441 5.246 8.471 As
2.499 1.762 8.582 As
6.172 1.762 10.686 As
3.768 5.246 6.367 As
7.430 5.238 12.834 As
2.511 1.770 4.219 As
0.014 0.010 4.277 La
3.724 0.010 6.402 La
1.260 3.504 6.402 La
```

* * * * *

(1)
Density functional theory data (PBE) for a geometry-optimized Tb6Ir2Pb structure. Values from VASP.

```
&SYSTEM
  ibrav = 0, nat = 18, ntyp = 3
/
ATOMIC_SPECIES
Tb 158.93 Tb.upf
Ir 192.22 Ir.upf
Pb 207.20 Pb.upf
ATOMIC_POSITIONS angstrom
Tb -1.173 -6.255 0.867
Tb -2.090 -1.058 2.259
Tb 2.683 -5.831 -0.232
Tb -5.945 -1.482 3.358
Tb -3.786 -4.200 2.491
Tb 0.523 -3.113 0.635
Tb 0.366 -8.047 -1.820
Tb -3.629 0.734 4.947
Tb -0.346 -3.897 3.870
Tb -2.916 -3.416 -0.743
Tb -3.017 -6.590 -2.323
Tb -0.245 -0.722 5.450
Ir 1.311 -5.591 2.443
Ir -4.573 -1.722 0.683
Ir 1.886 -2.814 5.533
Ir 0.957 -1.428 2.807
Pb -0.150 -4.693 -2.336
Pb 0.000 0.000 0.000
CELL_PARAMETERS angstrom
-2.963 2.074 7.798
-6.106 -3.071 -5.214
5.806 -6.316 0.542
```

Computed properties:
The space group is Immm. The calculation puts the density of states at the Fermi level at 0.86 states/eV per atom. The electronic total energy is -109.301 eV/cell. As for the size of the total moment: 0.000 Bohr magnetons per cell. The calculation puts the formation enthalpy at 0 K at -0.60 eV per atom. As for the theoretical density: 10.55 g cm⁻³.

---

(2)
Density functional theory data (PBE) for a geometry-optimized Tb3IrPb structure. Values from VASP.

```
&SYSTEM